Request:
Find "-1.700 -1.711" and "-4.441" in the contents underneath, and echo these two lines and those between, please.

File:
=====
166
Properties=species:S:1:pos:R:3 method="wB97M-V/def2-TZVPD" smiles="CCCC[C@](N=C(C)C)(O[C@](CCC(=O)Nc1ccccc1)([PH2]=N)[C@@H](COC(C)=O)OCBr)S(C)(=O)=O.CCOS(C)(=O)=O.CCOS(C)(=O)=O.CCOS(C)(=O)=O.CCOS(C)(=O)=O.CCOS(C)(=O)=O.CCOS(C)(=O)=O" homo_energy_ev=-8.157 max_force_ev_per_a=2.23 total_charge=0 e_tot_ev=-255795.2376
C 0.879 -2.209 -4.836
C 1.641 -2.575 -3.565
C 1.624 -1.427 -2.542
C 2.211 -1.929 -1.225
C 1.995 -1.035 -0.023
N 0.758 -1.131 0.547
C -0.323 -1.777 0.391
C -0.481 -3.164 0.950
C -1.551 -1.218 -0.262
O 2.563 0.228 -0.264
C 1.900 1.495 -0.240
C 0.481 1.586 -0.832
C 0.069 2.812 -1.647
C -0.347 3.983 -0.787
O -0.976 3.826 0.232
N -0.020 5.272 -1.281
C 1.243 5.745 -0.742
C 1.517 5.697 0.618
C 2.758 6.115 1.067
C 3.716 6.580 0.185
C 3.430 6.645 -1.175
C 2.189 6.228 -1.632
P 3.091 2.475 -1.305
N 3.093 2.126 -2.844
C 1.909 2.202 1.157
C 1.584 1.285 2.302
O 1.414 2.123 3.479
C 0.358 1.746 4.248
C 0.572 0.528 5.101
O -0.673 2.360 4.245
O 3.063 3.014 1.359
C 4.208 2.428 1.885
Br 4.529 2.902 3.756
S 3.263 -1.693 1.362
C 3.808 -3.346 0.998
O 4.457 -0.865 1.371
O 2.538 -1.772 2.616
H 0.755 -3.110 -5.431
H -0.095 -1.775 -4.614
H 1.451 -1.500 -5.433
H 1.165 -3.440 -3.102
H 2.676 -2.779 -3.839
H 0.584 -1.108 -2.460
H 2.277 -0.651 -2.933
H 3.292 -1.980 -1.374
H 1.882 -2.951 -1.038
H -0.441 -3.894 0.134
H 0.327 -3.373 1.646
H -1.445 -3.292 1.438
H -1.700 -1.711 -1.224
H -1.531 -0.140 -0.366
H -2.425 -1.476 0.338
H -0.237 1.502 -0.016
H 0.320 0.692 -1.430
H -0.858 2.551 -2.166
H 0.752 3.135 -2.429
H -0.775 5.887 -0.992
H 0.762 5.321 1.290
H 2.981 6.044 2.122
H 4.689 6.872 0.552
H 4.177 6.988 -1.876
H 1.957 6.253 -2.687
H 4.335 2.204 -0.721
H 2.825 3.822 -1.060
H 2.407 1.416 -3.068
H 1.076 2.903 1.124
H 2.361 0.569 2.530
H 0.628 0.802 2.118
H 0.133 0.695 6.081
H 0.030 -0.302 4.645
H 1.613 0.235 5.183
H 5.066 2.844 1.367
H 4.237 1.347 1.796
H 4.432 -3.628 1.842
H 4.420 -3.320 0.101
H 2.969 -4.018 0.849
O -1.106 -4.837 -5.103
S -1.782 -5.041 -3.859
O -1.029 -5.318 -2.670
O -2.891 -6.156 -4.055
C -2.484 -7.412 -4.648
C -1.774 -8.317 -3.663
C -2.882 -3.710 -3.552
H -1.872 -7.213 -5.528
H -3.411 -7.867 -4.991
H -0.805 -7.911 -3.378
H -1.617 -9.297 -4.113
H -2.365 -8.433 -2.754
H -3.483 -3.536 -4.441
H -2.279 -2.833 -3.325
H -3.507 -3.965 -2.700
O -5.515 -2.678 -5.297
S -6.556 -3.660 -5.177
O -6.482 -4.873 -5.933
O -7.950 -2.957 -5.436
C -8.098 -2.185 -6.653
C -8.332 -3.059 -7.867
C -6.818 -4.051 -3.488
H -7.228 -1.540 -6.781
H -8.958 -1.544 -6.470
H -7.447 -3.644 -8.111
H -8.579 -2.435 -8.726
H -9.150 -3.756 -7.684
H -6.915 -3.131 -2.918
H -5.950 -4.618 -3.156
H -7.712 -4.663 -3.410
O -8.263 -6.881 -3.465
S -8.896 -7.786 -4.381
O -9.615 -7.267 -5.500
O -9.830 -8.766 -3.556
C -10.785 -8.174 -2.644
C -12.007 -7.631 -3.353
C -7.734 -8.981 -4.931
H -10.288 -7.405 -2.051
H -11.060 -8.981 -1.969
H -11.758 -6.767 -3.968
H -12.753 -7.328 -2.619
H -12.438 -8.388 -4.007
H -7.224 -9.399 -4.068
H -7.033 -8.458 -5.578
H -8.263 -9.750 -5.486
O 7.028 -0.622 7.950
S 5.998 -1.614 8.016
O 6.134 -2.830 7.275
O 4.609 -0.934 7.674
C 4.522 -0.158 6.450
C 4.384 -1.023 5.217
C 5.646 -1.998 9.696
H 5.384 0.506 6.379
H 3.643 0.470 6.583
H 5.299 -1.583 5.030
H 4.179 -0.405 4.343
H 3.576 -1.745 5.333
H 5.499 -1.072 10.244
H 6.505 -2.541 10.083
H 4.757 -2.621 9.731
O 6.379 5.905 2.255
S 7.573 6.463 2.813
O 8.497 7.150 1.965
O 8.328 5.329 3.621
C 8.570 4.072 2.941
C 9.737 4.149 1.979
C 7.174 7.485 4.186
H 7.655 3.751 2.444
H 8.773 3.362 3.738
H 9.512 4.793 1.131
H 9.967 3.152 1.604
H 10.618 4.554 2.477
H 6.507 6.938 4.846
H 6.681 8.370 3.790
H 8.094 7.759 4.694
O -0.410 7.180 2.366
S -1.805 7.474 2.496
O -2.455 8.275 1.504
O -2.063 8.102 3.932
C -1.238 9.223 4.323
C -1.684 10.523 3.688
C -2.697 5.979 2.728
H -0.195 9.001 4.093
H -1.332 9.272 5.405
H -1.515 10.518 2.613
H -1.126 11.354 4.121
H -2.749 10.685 3.855
H -2.215 5.401 3.512
H -2.658 5.439 1.783
H -3.723 6.222 2.990

152
=====

Worked solution:
H -1.700 -1.711 -1.224
H -1.531 -0.140 -0.366
H -2.425 -1.476 0.338
H -0.237 1.502 -0.016
H 0.320 0.692 -1.430
H -0.858 2.551 -2.166
H 0.752 3.135 -2.429
H -0.775 5.887 -0.992
H 0.762 5.321 1.290
H 2.981 6.044 2.122
H 4.689 6.872 0.552
H 4.177 6.988 -1.876
H 1.957 6.253 -2.687
H 4.335 2.204 -0.721
H 2.825 3.822 -1.060
H 2.407 1.416 -3.068
H 1.076 2.903 1.124
H 2.361 0.569 2.530
H 0.628 0.802 2.118
H 0.133 0.695 6.081
H 0.030 -0.302 4.645
H 1.613 0.235 5.183
H 5.066 2.844 1.367
H 4.237 1.347 1.796
H 4.432 -3.628 1.842
H 4.420 -3.320 0.101
H 2.969 -4.018 0.849
O -1.106 -4.837 -5.103
S -1.782 -5.041 -3.859
O -1.029 -5.318 -2.670
O -2.891 -6.156 -4.055
C -2.484 -7.412 -4.648
C -1.774 -8.317 -3.663
C -2.882 -3.710 -3.552
H -1.872 -7.213 -5.528
H -3.411 -7.867 -4.991
H -0.805 -7.911 -3.378
H -1.617 -9.297 -4.113
H -2.365 -8.433 -2.754
H -3.483 -3.536 -4.441